Entries:
/*
No. 1
Entry from OMol25: 6 unconnected molecules or ions with the total composition C36H81N3O6 (the ωB97M-V functional and the def2-TZVPD basis).

Geometry as XYZ:
```
126
C36H81N3O6 the ωB97M-V functional and the def2-TZVPD basis
C -6.4696 3.6983 -1.1892
C -7.6344 3.7696 -0.2045
C -8.9750 3.3659 -0.9962
C -10.1477 2.9575 -0.1766
C -9.6959 1.7362 0.6970
C -8.4511 1.9678 1.5893
N -7.3776 2.6648 0.8093
O -6.2923 2.9811 1.5488
C -8.9653 2.7224 2.8555
C -7.9472 0.5477 1.9928
C -7.8943 5.1630 0.4346
H -5.4882 3.9158 -0.7675
H -6.5639 4.4433 -1.9793
H -6.4491 2.7241 -1.6776
H -9.2904 4.1333 -1.7031
H -8.8249 2.5194 -1.6663
H -10.8831 2.6455 -0.9183
H -10.4026 3.8494 0.3958
H -9.4386 0.9635 -0.0274
H -10.6185 1.4143 1.1801
H -9.4334 2.1047 3.6219
H -8.0599 2.9909 3.3998
H -9.5034 3.6504 2.6627
H -7.4680 0.0009 1.1808
H -7.2274 0.5992 2.8097
H -8.7048 -0.1321 2.3826
H -8.7029 4.9354 1.1292
H -8.1799 5.9486 -0.2649
H -7.0218 5.5413 0.9673
H -5.6886 2.4334 1.0417
C 3.7361 0.1294 6.8670
C 2.8730 0.1846 5.5912
C 2.3790 -1.2046 5.1643
C 1.2833 -1.8000 6.0433
C 0.0584 -0.8716 5.9781
C 0.3883 0.6276 6.3658
N 1.6704 1.0569 5.7623
O 2.0082 2.3704 6.0921
C -0.8444 1.3465 5.7375
C 0.4426 0.7282 7.9387
C 3.8617 0.7373 4.4611
H 3.8594 1.1061 7.3351
H 4.7692 -0.1479 6.6578
H 3.4683 -0.6580 7.5716
H 2.1804 -1.3455 4.1018
H 3.2416 -1.8590 5.2898
H 1.6080 -2.0431 7.0550
H 0.9943 -2.7833 5.6721
H -0.6757 -1.3341 6.6378
H -0.2821 -0.8972 4.9430
H -1.8056 0.8807 5.9547
H -0.7433 2.3911 6.0318
H -0.7757 1.4567 4.6553
H 0.9612 -0.0847 8.4470
H 0.9143 1.6444 8.2942
H -0.5709 0.8123 8.3307
H 3.4091 1.3961 3.7200
H 4.2364 -0.0744 3.8376
H 4.6882 1.2704 4.9310
H 1.9053 2.8544 5.2695
C 5.8432 3.8092 -5.1636
C 4.5289 3.3197 -4.6189
C 3.6504 4.5066 -4.1529
C 2.9367 5.1845 -5.3286
C 2.1628 4.2389 -6.2084
C 2.9843 2.9732 -6.7045
N 3.7778 2.4435 -5.5516
O 4.3872 1.2416 -5.8382
C 1.9129 2.0084 -7.2058
C 3.7604 3.2847 -8.0029
C 4.8479 2.5008 -3.3258
H 6.3845 4.1639 -4.2866
H 5.6693 4.7031 -5.7626
H 6.5170 3.0733 -5.6023
H 2.8623 4.2318 -3.4518
H 4.2172 5.2952 -3.6581
H 3.5829 5.8323 -5.9209
H 2.2116 5.8127 -4.8113
H 1.8430 4.6961 -7.1447
H 1.2546 3.8997 -5.7102
H 1.3170 2.2334 -8.0903
H 2.2943 1.0041 -7.3904
H 1.2233 1.8708 -6.3729
H 4.7224 3.7118 -7.7195
H 3.8740 2.3959 -8.6235
H 3.1193 3.9849 -8.5385
H 5.4173 3.1596 -2.6701
H 5.4810 1.6441 -3.5567
H 3.9129 2.3220 -2.7948
H 5.1703 1.5364 -6.3088
C -0.7885 -0.1158 -1.6756
C 0.3200 -1.1170 -1.2233
C -0.2320 -2.3880 -0.6630
O 0.9471 -1.4056 -2.3743
H -0.2983 0.7940 -2.0220
H -1.4000 0.1858 -0.8252
H -1.5263 -0.4749 -2.3931
H 0.8420 -0.5563 -0.4479
H 0.6390 -3.0231 -0.5013
H -0.9763 -2.8937 -1.2781
H -0.6450 -2.2665 0.3384
H 1.2823 -0.5812 -2.7342
C 0.4960 -10.4001 -0.2407
C 1.6905 -10.1933 0.7302
C 1.4581 -8.9616 1.7010
O 1.8813 -11.4370 1.4768
H -0.4514 -10.4378 0.2970
H 0.5276 -11.3872 -0.7019
H 0.5488 -9.6370 -1.0172
H 2.5616 -10.1341 0.0776
H 0.4043 -8.6834 1.7204
H 1.9483 -8.0264 1.4304
H 1.8413 -9.0655 2.7161
H 2.6595 -11.4493 2.0389
C 6.2863 -4.3026 -0.8469
C 6.6496 -4.9776 -2.1556
C 5.5272 -6.0042 -2.6080
O 6.7468 -3.9801 -3.1030
H 6.4455 -4.9045 0.0478
H 5.2570 -3.9567 -0.7520
H 6.8651 -3.3996 -0.6531
H 7.5780 -5.5345 -2.2821
H 4.5379 -5.5979 -2.3973
H 5.7448 -6.9795 -2.1725
H 5.4762 -6.2853 -3.6599
H 5.8503 -3.6498 -3.1965
```

The calculation puts the max |F| at 4.50 eV/Å. As for the lowest unoccupied orbital energy: 0.007 Ha. The HOMO energy comes out at -8.143 eV. As for the charge: 0. The value obtained for the energy above the lowest of the compared OMol25 structures with the same formula, charge and spin is 144.29 kcal/mol. The calculation puts the HOMO-LUMO gap at 8.335 eV. The SMILES is CC1(C)CCCC(C)(C)N1O.CC1(C)CCCC(C)(C)N1O.CC1(C)CCCC(C)(C)N1O.CC(C)O.CC(C)O.CC(C)O.

***

No. 2
Entry from OMol25: a molecular structure, C46H44BrN2OP2S2SiTi (the ωB97M-V functional and the def2-TZVPD basis).

Geometry as XYZ:
```
100
C46H44BrN2OP2S2SiTi the ωB97M-V functional and the def2-TZVPD basis
*/

To do:
Now set down the lines earlier on without additions.

Completed:
No. 1
Entry from OMol25: 6 unconnected molecules or ions with the total composition C36H81N3O6 (the ωB97M-V functional and the def2-TZVPD basis).

Geometry as XYZ:
```
126
C36H81N3O6 the ωB97M-V functional and the def2-TZVPD basis
C -6.4696 3.6983 -1.1892
C -7.6344 3.7696 -0.2045
C -8.9750 3.3659 -0.9962
C -10.1477 2.9575 -0.1766
C -9.6959 1.7362 0.6970
C -8.4511 1.9678 1.5893
N -7.3776 2.6648 0.8093
O -6.2923 2.9811 1.5488
C -8.9653 2.7224 2.8555
C -7.9472 0.5477 1.9928
C -7.8943 5.1630 0.4346
H -5.4882 3.9158 -0.7675
H -6.5639 4.4433 -1.9793
H -6.4491 2.7241 -1.6776
H -9.2904 4.1333 -1.7031
H -8.8249 2.5194 -1.6663
H -10.8831 2.6455 -0.9183
H -10.4026 3.8494 0.3958
H -9.4386 0.9635 -0.0274
H -10.6185 1.4143 1.1801
H -9.4334 2.1047 3.6219
H -8.0599 2.9909 3.3998
H -9.5034 3.6504 2.6627
H -7.4680 0.0009 1.1808
H -7.2274 0.5992 2.8097
H -8.7048 -0.1321 2.3826
H -8.7029 4.9354 1.1292
H -8.1799 5.9486 -0.2649
H -7.0218 5.5413 0.9673
H -5.6886 2.4334 1.0417
C 3.7361 0.1294 6.8670
C 2.8730 0.1846 5.5912
C 2.3790 -1.2046 5.1643
C 1.2833 -1.8000 6.0433
C 0.0584 -0.8716 5.9781
C 0.3883 0.6276 6.3658
N 1.6704 1.0569 5.7623
O 2.0082 2.3704 6.0921
C -0.8444 1.3465 5.7375
C 0.4426 0.7282 7.9387
C 3.8617 0.7373 4.4611
H 3.8594 1.1061 7.3351
H 4.7692 -0.1479 6.6578
H 3.4683 -0.6580 7.5716
H 2.1804 -1.3455 4.1018
H 3.2416 -1.8590 5.2898
H 1.6080 -2.0431 7.0550
H 0.9943 -2.7833 5.6721
H -0.6757 -1.3341 6.6378
H -0.2821 -0.8972 4.9430
H -1.8056 0.8807 5.9547
H -0.7433 2.3911 6.0318
H -0.7757 1.4567 4.6553
H 0.9612 -0.0847 8.4470
H 0.9143 1.6444 8.2942
H -0.5709 0.8123 8.3307
H 3.4091 1.3961 3.7200
H 4.2364 -0.0744 3.8376
H 4.6882 1.2704 4.9310
H 1.9053 2.8544 5.2695
C 5.8432 3.8092 -5.1636
C 4.5289 3.3197 -4.6189
C 3.6504 4.5066 -4.1529
C 2.9367 5.1845 -5.3286
C 2.1628 4.2389 -6.2084
C 2.9843 2.9732 -6.7045
N 3.7778 2.4435 -5.5516
O 4.3872 1.2416 -5.8382
C 1.9129 2.0084 -7.2058
C 3.7604 3.2847 -8.0029
C 4.8479 2.5008 -3.3258
H 6.3845 4.1639 -4.2866
H 5.6693 4.7031 -5.7626
H 6.5170 3.0733 -5.6023
H 2.8623 4.2318 -3.4518
H 4.2172 5.2952 -3.6581
H 3.5829 5.8323 -5.9209
H 2.2116 5.8127 -4.8113
H 1.8430 4.6961 -7.1447
H 1.2546 3.8997 -5.7102
H 1.3170 2.2334 -8.0903
H 2.2943 1.0041 -7.3904
H 1.2233 1.8708 -6.3729
H 4.7224 3.7118 -7.7195
H 3.8740 2.3959 -8.6235
H 3.1193 3.9849 -8.5385
H 5.4173 3.1596 -2.6701
H 5.4810 1.6441 -3.5567
H 3.9129 2.3220 -2.7948
H 5.1703 1.5364 -6.3088
C -0.7885 -0.1158 -1.6756
C 0.3200 -1.1170 -1.2233
C -0.2320 -2.3880 -0.6630
O 0.9471 -1.4056 -2.3743
H -0.2983 0.7940 -2.0220
H -1.4000 0.1858 -0.8252
H -1.5263 -0.4749 -2.3931
H 0.8420 -0.5563 -0.4479
H 0.6390 -3.0231 -0.5013
H -0.9763 -2.8937 -1.2781
H -0.6450 -2.2665 0.3384
H 1.2823 -0.5812 -2.7342
C 0.4960 -10.4001 -0.2407
C 1.6905 -10.1933 0.7302
C 1.4581 -8.9616 1.7010
O 1.8813 -11.4370 1.4768
H -0.4514 -10.4378 0.2970
H 0.5276 -11.3872 -0.7019
H 0.5488 -9.6370 -1.0172
H 2.5616 -10.1341 0.0776
H 0.4043 -8.6834 1.7204
H 1.9483 -8.0264 1.4304
H 1.8413 -9.0655 2.7161
H 2.6595 -11.4493 2.0389
C 6.2863 -4.3026 -0.8469
C 6.6496 -4.9776 -2.1556
C 5.5272 -6.0042 -2.6080
O 6.7468 -3.9801 -3.1030
H 6.4455 -4.9045 0.0478
H 5.2570 -3.9567 -0.7520
H 6.8651 -3.3996 -0.6531
H 7.5780 -5.5345 -2.2821
H 4.5379 -5.5979 -2.3973
H 5.7448 -6.9795 -2.1725
H 5.4762 -6.2853 -3.6599
H 5.8503 -3.6498 -3.1965
```

The calculation puts the max |F| at 4.50 eV/Å. As for the lowest unoccupied orbital energy: 0.007 Ha. The HOMO energy comes out at -8.143 eV. As for the charge: 0. The value obtained for the energy above the lowest of the compared OMol25 structures with the same formula, charge and spin is 144.29 kcal/mol. The calculation puts the HOMO-LUMO gap at 8.335 eV. The SMILES is CC1(C)CCCC(C)(C)N1O.CC1(C)CCCC(C)(C)N1O.CC1(C)CCCC(C)(C)N1O.CC(C)O.CC(C)O.CC(C)O.

***

No. 2
Entry from OMol25: a molecular structure, C46H44BrN2OP2S2SiTi (the ωB97M-V functional and the def2-TZVPD basis).

Geometry as XYZ:
```
100
C46H44BrN2OP2S2SiTi the ωB97M-V functional and the def2-TZVPD basis